Istanbul still doesn’t have a city museum

Istanbul still doesn’t have a city museum

Where does Turkey’s history of modern museums start? If we exempt the works sold from the Ottoman palaces, it can be said that the Hagia İrene Church within Istanbul’s Topkapı Palace was the first place where it started.

### Records of crystals that have nothing to do with the text
********
Entry 1:
Diffraction record for Na2La2Ti3O10. The X-ray diffraction stick pattern is calculated, not measured: it uses a DFT-relaxed cell (GGA-PBE, Alexandria) and Cu Kα (λ = 1.5418 Å).

Atomic structure:
abc: 14.694 14.694 14.694
angles: 164.86 164.86 21.47
Element x y z (fractional)
1 Na 0.212 0.212 0.000
2 Na 0.788 0.788 0.000
3 La 0.075 0.075 0.000
4 La 0.925 0.925 0.000
5 Ti 0.352 0.352 0.000
6 Ti 0.500 0.500 0.000
7 Ti 0.648 0.648 0.000
8 O 0.000 0.500 0.500
9 O 0.133 0.633 0.500
10 O 0.291 0.291 0.000
11 O 0.367 0.867 0.500
12 O 0.433 0.433 0.000
13 O 0.500 0.000 0.500
14 O 0.567 0.567 0.000
15 O 0.633 0.133 0.500
16 O 0.709 0.709 0.000
17 O 0.867 0.367 0.500

Main lines, low angle first (15° ≤ 2θ ≤ 90°):
2θ 27.7, rel. 39
2θ 31.7, rel. 100
2θ 32.7, rel. 56
2θ 37.8, rel. 21
2θ 41.4, rel. 25
2θ 43.9, rel. 21
2θ 46.9, rel. 40
2θ 55.8, rel. 22
2θ 57.8, rel. 36
2θ 66.2, rel. 21

Entry 2:
Diffraction record for NaLaTi2O6. The X-ray diffraction stick pattern is calculated, not measured: it uses a DFT-relaxed cell (GGA-PBE, Alexandria) and Cu Kα (λ = 1.5418 Å).

Atomic structure:
abc: 7.208 7.208 6.682
angles: 107.11 107.11 97.88
Element x y z (fractional)
1 Na 0.226 0.774 0.750
2 Na 0.774 0.226 0.250
3 La 0.102 0.898 0.250
4 La 0.898 0.102 0.750
5 Ti 0.278 0.427 0.303
6 Ti 0.427 0.278 0.803
7 Ti 0.573 0.722 0.197
8 Ti 0.722 0.573 0.697
9 O 0.071 0.200 0.158
10 O 0.153 0.619 0.371
11 O 0.200 0.071 0.658
12 O 0.352 0.418 0.047
13 O 0.381 0.847 0.129
14 O 0.418 0.352 0.547
15 O 0.582 0.648 0.453
16 O 0.619 0.153 0.871
17 O 0.648 0.582 0.953
18 O 0.800 0.929 0.342
19 O 0.847 0.381 0.629
20 O 0.929 0.800 0.842

Main lines, low angle first (15° ≤ 2θ ≤ 90°):
2θ 16.0, rel. 61
2θ 16.3, rel. 45
2θ 21.0, rel. 51
2θ 23.2, rel. 52
2θ 25.5, rel. 100
2θ 28.3, rel. 90
2θ 29.9, rel. 54
2θ 32.8, rel. 60
2θ 33.0, rel. 46
2θ 43.9, rel. 40

----------

No. 1
The following is a simulated powder X-ray diffraction pattern of CuPH6NO5. It was derived from a cell relaxed with GGA-PBE, using λ = 1.5418 Å (Cu Kα).

Top 6 peaks for 15 to 90 degrees two-theta, in order of rising 2θ:
2θ 18.42, d = 4.818 Å, I = 19; 2θ 20.95, d = 4.240 Å, I = 33; 2θ 26.09, d = 3.415 Å, I = 37; 2θ 31.05, d = 2.880 Å, I = 43; 2θ 31.58, d = 2.833 Å, I = 100; 2θ 39.21, d = 2.298 Å, I = 26

Structure:
a b c (Å): 5.761 8.785 4.842
angles (deg): 90.00 90.00 90.00
Positions (direct):
Cu (0.000, 0.022, 0.000)
Cu (0.500, 0.978, 0.500)
P (0.000, 0.812, 0.443)
P (0.500, 0.188, 0.943)
H (0.000, 0.543, 0.701)
H (0.000, 0.545, 0.058)
H (0.137, 0.186, 0.404)
H (0.147, 0.408, 0.885)
H (0.353, 0.592, 0.385)
H (0.363, 0.814, 0.904)
H (0.500, 0.455, 0.558)
H (0.500, 0.457, 0.201)
H (0.637, 0.814, 0.904)
H (0.647, 0.592, 0.385)
H (0.853, 0.408, 0.885)
H (0.863, 0.186, 0.404)
N (0.000, 0.476, 0.882)
N (0.500, 0.524, 0.382)
O (0.000, 0.204, 0.287)
O (0.000, 0.637, 0.390)
O (0.000, 0.836, 0.759)
O (0.215, 0.888, 0.299)
O (0.285, 0.112, 0.799)
O (0.500, 0.164, 0.259)
O (0.500, 0.363, 0.890)
O (0.500, 0.796, 0.787)
********
### Back to the text

Classic collections did exist previously. Starting from 1846, instructions were issued to look for historic works. Some archeologists were given licenses.

# 1
# NaCo2P3O10
Calculated PXRD pattern, Cu Kα, 1.54184 Å. Input: a DFT-relaxed cell (GGA+U, the Materials Project).
Intensities are scaled so that the largest is 100.

Principal peaks in the range 2θ = 10–90°, sorted by position:
Position (°2θ)	I/Imax
24.78	21
28.09	100
31.04	34
33.14	46
36.37	24
43.18	26

a = 4.730 Å, b = 8.638 Å, c = 9.116 Å
α = 90.00°, β = 97.66°, γ = 90.00°
Fractional positions:
Na 0.000 0.000 0.000
Na 0.000 0.500 0.000
Co 0.045 0.071 0.341
Co 0.045 0.429 0.341
Co 0.955 0.571 0.659
Co 0.955 0.929 0.659
P 0.334 0.250 0.817
P 0.390 0.750 0.460
P 0.473 0.250 0.151
P 0.527 0.750 0.849
P 0.610 0.250 0.540
P 0.666 0.750 0.183
O 0.166 0.101 0.801
O 0.166 0.399 0.801
O 0.220 0.750 0.766
O 0.224 0.601 0.485
O 0.224 0.899 0.485
O 0.309 0.250 0.453
O 0.311 0.102 0.174
O 0.311 0.398 0.174
O 0.420 0.750 0.286
O 0.463 0.750 0.024
O 0.537 0.250 0.976
O 0.580 0.250 0.714
O 0.689 0.602 0.826
O 0.689 0.898 0.826
O 0.691 0.750 0.547
O 0.776 0.101 0.515
O 0.776 0.399 0.515
O 0.780 0.250 0.234
O 0.834 0.601 0.199
O 0.834 0.899 0.199

# 2
# Li4Mn3Nb3Sb2O16
Calculated PXRD pattern, Cu Kα, 1.54184 Å. Input: a DFT-relaxed cell (GGA+U, the Materials Project).
Intensities are scaled so that the largest is 100.

Principal peaks in the range 2θ = 10–90°, sorted by position:
Position (°2θ)	I/Imax
16.80	100
18.05	94
18.42	75
18.57	66
30.06	56
30.34	62

a = 6.157 Å, b = 6.325 Å, c = 10.553 Å
α = 89.74°, β = 89.66°, γ = 61.50°
Fractional positions:
Li 0.000 0.000 0.000
Li 0.007 0.989 0.483
Li 0.361 0.295 0.391
Li 0.684 0.651 0.886
Mn 0.177 0.660 0.703
Mn 0.346 0.827 0.214
Mn 0.842 0.821 0.214
Nb 0.172 0.167 0.714
Nb 0.669 0.167 0.715
Nb 0.830 0.340 0.230
Sb 0.326 0.343 0.021
Sb 0.657 0.700 0.495
O 0.003 0.000 0.814
O 0.006 0.450 0.333
O 0.024 0.459 0.805
O 0.147 0.681 0.105
O 0.161 0.164 0.102
O 0.316 0.865 0.588
O 0.362 0.292 0.604
O 0.498 0.008 0.813
O 0.531 0.460 0.805
O 0.535 0.474 0.327
O 0.557 0.935 0.342
O 0.674 0.172 0.102
O 0.708 0.641 0.116
O 0.834 0.859 0.593
O 0.875 0.264 0.604
O 0.985 0.996 0.302

# 3
# MgMn4O7F
Calculated PXRD pattern, Cu Kα, 1.54184 Å. Input: a DFT-relaxed cell (GGA+U, the Materials Project).
Intensities are scaled so that the largest is 100.

Principal peaks in the range 2θ = 10–90°, sorted by position:
Position (°2θ)	I/Imax
15.15	56
25.46	100
29.90	76
31.23	50
40.92	47
47.25	71

a = 5.033 Å, b = 5.083 Å, c = 5.937 Å
α = 83.84°, β = 81.09°, γ = 78.99°
Fractional positions:
Mg 0.000 0.000 0.000
Mn 0.449 0.446 0.755
Mn 0.459 0.968 0.286
Mn 0.937 0.935 0.546
Mn 0.978 0.456 0.282
O 0.171 0.755 0.757
O 0.174 0.769 0.283
O 0.180 0.203 0.491
O 0.238 0.275 0.035
O 0.708 0.655 0.524
O 0.722 0.133 0.782
O 0.750 0.152 0.302
F 0.731 0.699 0.079

* * * * *

(1)
Theoretical X-ray powder pattern of GaPt3 for Cu Kα X-rays, from a crystal structure in the Materials Project, relaxed with PBE.
Neutral-atom scattering factors, no anomalous dispersion.

Cell and atoms:
```
data_GaPt3
_chemical_formula_sum 'Ga4 Pt12'
_cell_length_a 5.5463

What is todays known as the Istanbul Archeology Museum was established during the era of Sultan Abdülhamid II in 1891, thanks to the prominent Ottoman administrator, painter, and archaeologist Osman Hamdi Bey. The museum was built by Alexandre Vallaury, from our city’s Catholic community. 

The Topkapı Palace was also converted into a museum in 1924 after the declaration of the Turkish Republic.
The history of Turkey’s modern museums overlaps with that of Western Europe. Archeology is not an area that Turks do not understand. On the contrary, Turkish archaeology - as claimed by foreign colleagues - is a “school” in the archaeology world. 

However, the problem of legacy is valid throughout the Eastern Mediterranean. Apart from Israel, there is no country in the region that strives to protect the historical and archaeological works. 

Construction companies targeting closed military schools

Currently the picture we have regarding museums in Turkey is very unbalanced. Unfortunately, for a long time the Culture Ministry has not conducted examinations to employ museums experts. 

In Anatolia, in remote parts of Turkey, we have some museums that we can be proud of. But there are also some museums that have been the subject of scandals.

The same problems are valid in terms of the activities of local municipalities. For instance, over the course of the last 10 years the Panorama 1453 Museum was established in Istanbul just beyond the city walls. Those who prepared the Panorama Museum, which depicts the conquest of Istanbul, were mostly experts from former Soviet countries, where this is done best.

I have to say that I do not share most of the criticism directed at the museum since it opened years ago. In the end, the museum attracted the attention of the public. We should see it as a success of the Istanbul Municipality. However, the fact that the estate adjacent to the museum was awarded to a construction company for development shows that this administration does not understand parks or museums. It does not think about conserving the city or respecting Istanbul’s historic silhouette. 

The state administration could convert all the military schools and war academies evacuated since the failed July 15 military coup attempt into museums or cultural activity spaces. But instead there are signs that construction companies have their eyes on them. Don’t we see that with Istanbul’s population heading towards 20 million, people are struggling to breath, that the fog we see is actually polluted air? 

We still do not have a city museum. When and how will Istanbul’s richness be properly displayed?